## Entries
/*
This record from the Alexandria database describes a geometry-optimized Cs2Rb structure. The functional is PBE-GGA.

Cell: 5.792 5.792 18.857 Å, 90.00 90.00 90.00°
Sites, in units of the cell vectors:
1 Cs 0.250 0.250 0.089
2 Cs 0.250 0.250 0.732
3 Cs 0.750 0.750 0.268
4 Cs 0.750 0.750 0.911
5 Rb 0.250 0.250 0.429
6 Rb 0.750 0.750 0.571

Calculated values
symmetry: P4/nmm
E_form: 2.4 meV per atom
D(E_F): 3.15 states/eV/f.u.

This record from the Alexandria database describes a geometry-optimized Cs5Rb3 structure. The functional is PBE-GGA.

Cell: 5.913 5.913 23.765 Å, 90.00 90.00 90.00°
Sites, in units of the cell vectors:
1 Cs 0.000 0.000 0.000
2 Cs 0.000 0.000 0.241
3 Cs 0.000 0.000 0.759
4 Cs 0.500 0.500 0.378
5 Cs 0.500 0.500 0.622
6 Rb 0.000 0.000 0.500
7 Rb 0.500 0.500 0.120
8 Rb 0.500 0.500 0.880

Calculated values
symmetry: P4/mmm
E_form: 0.6 meV per atom
D(E_F): 7.85 states/eV/f.u.

This record from the Alexandria database describes a geometry-optimized Cs4Rb3 structure. The functional is PBE-GGA.

Cell: 8.317 8.317 12.878 Å, 109.21 109.21 60.25°
Sites, in units of the cell vectors:
1 Cs 0.069 0.069 0.210
2 Cs 0.217 0.217 0.647
3 Cs 0.783 0.783 0.353
4 Cs 0.931 0.931 0.790
5 Rb 0.357 0.357 0.073
6 Rb 0.500 0.500 0.500
7 Rb 0.643 0.643 0.927

Calculated values
symmetry: C2/m
E_form: 3.8 meV per atom
D(E_F): 7.87 states/eV/f.u.

This record from the Alexandria database describes a geometry-optimized CsRb2 structure. The functional is PBE-GGA.

Cell: 9.770 9.770 9.770 Å, 124.66 124.66 82.10°
Sites, in units of the cell vectors:
1 Cs 0.375 0.625 0.750
2 Cs 0.625 0.375 0.250
3 Rb 0.032 0.282 0.750
4 Rb 0.282 0.032 0.250
5 Rb 0.718 0.968 0.750
6 Rb 0.968 0.718 0.250

Calculated values
symmetry: I4_1/amd
E_form: 61.0 meV per atom
D(E_F): 3.00 states/eV/f.u.

This record from the Alexandria database describes a geometry-optimized Cs13Rb2 structure. The functional is PBE-GGA.

Cell: 15.016 15.016 15.016 Å, 55.68 55.68 55.68°
Sites, in units of the cell vectors:
1 Cs 0.000 0.000 0.000
2 Cs 0.020 0.020 0.637
3 Cs 0.020 0.637 0.020
4 Cs 0.238 0.238 0.604
5 Cs 0.238 0.604 0.238
6 Cs 0.363 0.980 0.980
7 Cs 0.396 0.762 0.762
8 Cs 0.604 0.238 0.238
9 Cs 0.637 0.020 0.020
10 Cs 0.762 0.396 0.762
11 Cs 0.762 0.762 0.396
12 Cs 0.980 0.363 0.980
13 Cs 0.980 0.980 0.363
14 Rb 0.237 0.237 0.237
15 Rb 0.763 0.763 0.763

Calculated values
symmetry: R-3m
E_form: 97.6 meV per atom
D(E_F): 17.08 states/eV/f.u.

This record from the Alexandria database describes a geometry-optimized Cs8Rb5 structure. The functional is PBE-GGA.

Cell: 10.475 10.475 17.614 Å, 114.98 114.98 56.73°
Sites, in units of the cell vectors:
1 Cs 0.195 0.195 0.089
2 Cs 0.235 0.235 0.741
3 Cs 0.246 0.751 0.771
4 Cs 0.249 0.754 0.229
5 Cs 0.751 0.246 0.771
6 Cs 0.754 0.249 0.229
7 Cs 0.765 0.765 0.259
8 Cs 0.805 0.805 0.911
9 Rb 0.250 0.750 0.500
10 Rb 0.253 0.253 0.457
11 Rb 0.500 0.500 0.000
12 Rb 0.747 0.747 0.543
13 Rb 0.750 0.250 0.500

Calculated values
symmetry: C2/m
E_form: 35.7 meV per atom
D(E_F): 14.38 states/eV/f.u.

This record from the Alexandria database describes a geometry-optimized Cs4Rb5 structure. The functional is PBE-GGA.

Cell: 12.870 12.870 12.870 Å, 92.81 92.81 154.40°
Sites, in units of the cell vectors:
1 Cs 0.000 0.326 0.326
2 Cs 0.000 0.674 0.674
3 Cs 0.326 0.000 0.326
4 Cs 0.674 0.000 0.674
5 Rb 0.000 0.000 0.000
6 Rb 0.333 0.333 0.666
7 Rb 0.333 0.667 0.000
8 Rb 0.667 0.333 0.000
9 Rb 0.667 0.667 0.334

Calculated values
symmetry: I4/mmm
E_form: 7.3 meV per atom
D(E_F): 9.51 states/eV/f.u.

This record from the Alexandria database describes a geometry-optimized CsRb2 structure. The functional is PBE-GGA.

Cell: 9.990 9.990 9.990 Å, 147.20 147.20 47.06°
Sites, in units of the cell vectors:
1 Cs 0.000 0.000 0.000
2 Rb 0.326 0.326 0.000
3 Rb 0.674 0.674 0.000

Calculated values
symmetry: I4/mmm
E_form: 3.2 meV per atom
D(E_F): 2.79 states/eV/f.u.
*/

## Exercise
What is needed: copy the whole of the notes earlier on exactly.

## Solution
This record from the Alexandria database describes a geometry-optimized Cs2Rb structure. The functional is PBE-GGA.

Cell: 5.792 5.792 18.857 Å, 90.00 90.00 90.00°
Sites, in units of the cell vectors:
1 Cs 0.250 0.250 0.089
2 Cs 0.250 0.250 0.732
3 Cs 0.750 0.750 0.268
4 Cs 0.750 0.750 0.911
5 Rb 0.250 0.250 0.429
6 Rb 0.750 0.750 0.571

Calculated values
symmetry: P4/nmm
E_form: 2.4 meV per atom
D(E_F): 3.15 states/eV/f.u.

This record from the Alexandria database describes a geometry-optimized Cs5Rb3 structure. The functional is PBE-GGA.

Cell: 5.913 5.913 23.765 Å, 90.00 90.00 90.00°
Sites, in units of the cell vectors:
1 Cs 0.000 0.000 0.000
2 Cs 0.000 0.000 0.241
3 Cs 0.000 0.000 0.759
4 Cs 0.500 0.500 0.378
5 Cs 0.500 0.500 0.622
6 Rb 0.000 0.000 0.500
7 Rb 0.500 0.500 0.120
8 Rb 0.500 0.500 0.880

Calculated values
symmetry: P4/mmm
E_form: 0.6 meV per atom
D(E_F): 7.85 states/eV/f.u.

This record from the Alexandria database describes a geometry-optimized Cs4Rb3 structure. The functional is PBE-GGA.

Cell: 8.317 8.317 12.878 Å, 109.21 109.21 60.25°
Sites, in units of the cell vectors:
1 Cs 0.069 0.069 0.210
2 Cs 0.217 0.217 0.647
3 Cs 0.783 0.783 0.353
4 Cs 0.931 0.931 0.790
5 Rb 0.357 0.357 0.073
6 Rb 0.500 0.500 0.500
7 Rb 0.643 0.643 0.927

Calculated values
symmetry: C2/m
E_form: 3.8 meV per atom
D(E_F): 7.87 states/eV/f.u.

This record from the Alexandria database describes a geometry-optimized CsRb2 structure. The functional is PBE-GGA.

Cell: 9.770 9.770 9.770 Å, 124.66 124.66 82.10°
Sites, in units of the cell vectors:
1 Cs 0.375 0.625 0.750
2 Cs 0.625 0.375 0.250
3 Rb 0.032 0.282 0.750
4 Rb 0.282 0.032 0.250
5 Rb 0.718 0.968 0.750
6 Rb 0.968 0.718 0.250

Calculated values
symmetry: I4_1/amd
E_form: 61.0 meV per atom
D(E_F): 3.00 states/eV/f.u.

This record from the Alexandria database describes a geometry-optimized Cs13Rb2 structure. The functional is PBE-GGA.

Cell: 15.016 15.016 15.016 Å, 55.68 55.68 55.68°
Sites, in units of the cell vectors:
1 Cs 0.000 0.000 0.000
2 Cs 0.020 0.020 0.637
3 Cs 0.020 0.637 0.020
4 Cs 0.238 0.238 0.604
5 Cs 0.238 0.604 0.238
6 Cs 0.363 0.980 0.980
7 Cs 0.396 0.762 0.762
8 Cs 0.604 0.238 0.238
9 Cs 0.637 0.020 0.020
10 Cs 0.762 0.396 0.762
11 Cs 0.762 0.762 0.396
12 Cs 0.980 0.363 0.980
13 Cs 0.980 0.980 0.363
14 Rb 0.237 0.237 0.237
15 Rb 0.763 0.763 0.763

Calculated values
symmetry: R-3m
E_form: 97.6 meV per atom
D(E_F): 17.08 states/eV/f.u.

This record from the Alexandria database describes a geometry-optimized Cs8Rb5 structure. The functional is PBE-GGA.

Cell: 10.475 10.475 17.614 Å, 114.98 114.98 56.73°
Sites, in units of the cell vectors:
1 Cs 0.195 0.195 0.089
2 Cs 0.235 0.235 0.741
3 Cs 0.246 0.751 0.771
4 Cs 0.249 0.754 0.229
5 Cs 0.751 0.246 0.771
6 Cs 0.754 0.249 0.229
7 Cs 0.765 0.765 0.259
8 Cs 0.805 0.805 0.911
9 Rb 0.250 0.750 0.500
10 Rb 0.253 0.253 0.457
11 Rb 0.500 0.500 0.000
12 Rb 0.747 0.747 0.543
13 Rb 0.750 0.250 0.500

Calculated values
symmetry: C2/m
E_form: 35.7 meV per atom
D(E_F): 14.38 states/eV/f.u.

This record from the Alexandria database describes a geometry-optimized Cs4Rb5 structure. The functional is PBE-GGA.

Cell: 12.870 12.870 12.870 Å, 92.81 92.81 154.40°
Sites, in units of the cell vectors:
1 Cs 0.000 0.326 0.326
2 Cs 0.000 0.674 0.674
3 Cs 0.326 0.000 0.326
4 Cs 0.674 0.000 0.674
5 Rb 0.000 0.000 0.000
6 Rb 0.333 0.333 0.666
7 Rb 0.333 0.667 0.000
8 Rb 0.667 0.333 0.000
9 Rb 0.667 0.667 0.334

Calculated values
symmetry: I4/mmm
E_form: 7.3 meV per atom
D(E_F): 9.51 states/eV/f.u.

This record from the Alexandria database describes a geometry-optimized CsRb2 structure. The functional is PBE-GGA.

Cell: 9.990 9.990 9.990 Å, 147.20 147.20 47.06°
Sites, in units of the cell vectors:
1 Cs 0.000 0.000 0.000
2 Rb 0.326 0.326 0.000
3 Rb 0.674 0.674 0.000

Calculated values
symmetry: I4/mmm
E_form: 3.2 meV per atom
D(E_F): 2.79 states/eV/f.u.